All posts by Alistair Lattimore

About Alistair Lattimore

My name is Alistair Lattimore, I'm in my very early 30's and live on the sunny Gold Coast in Australia. I married my high school sweet heart & we've been together for longer than I can remember. Claire and I started our family in September 2008 when Hugo was born and added a gorgeous little girl named Evie in May 2010. You can find me online in the typical hangouts, Google+, Twitter & facebook. .

Winning The Fight Against Spam

I hate spam, I hate it in email, I hate it in paper mail, I hate it in instant messaging, I hate it in forums – I just hate it.

For a long time, I have struggled with comment spam on this site up until I installed Akismet, which has been my knight in shining armour to help combat comment spam.

Over the last year, the rate that this site has been getting spammed has increased every single month, without fail – relentlessly. The spam statistics for the Akismet service indicates that the rate they are receiving and filtering spam has also been increasing.

At the moment, the graph doesn’t show any particular sign that the rate of spam has slowed at all. For some reason though, the rate that this site is receiving spam has definitely decreased. Over the last few months, I would delete between 350 and some times over 1000 per day while at the moment it is averaging a number less than 200.

That got me wondering what has changed around these parts, nothing in particular. I’m still running the same blogging software, still using Akismet to filter spam on the site and the search engine rankings of the site haven’t decreased such that it might make it a less likely target for spammers.

Is it possible that enough people are combating spam efficiently these days that at least some portion of the spamming community have called it quits? I don’t know if there is a way for anyone to answer that question with any sort of certainty however I can only hope that it might be the case.

Die filthy spammers, die.

Windows Live ID Web Authentication

Today, Microsoft released the Windows Live ID Web Authentication service to the world for public consumption.

The Windows Live ID service is an evolution of the familiar Microsoft Passport system. Over the last few years, Microsoft have been extending the Microsoft Passport system to cater for the constant change and evolution of authentication requirements on the internet.

With the first public release of the Live ID web authentication service, Microsoft have updated all of their documentation and are also providing an SDK for the Live ID services. For the convenience of the developers around the world and to increase the adoption rate, Microsoft have graciously provided implementations for the Live ID web authentication product in .NET, Java, Perl, PHP, Python and Ruby.

........
[1]
Entry from the Materials Project database: Zn4Cr5Te3O18 after structural relaxation (PBE+U).

Unit cell a=8.7284 b=8.7284 c=10.5742 alpha=85.34 beta=85.34 gamma=63.23
Last column: nearest neighbours and their distance in Å.
Element x y z (fractional)
Zn 0.3486 0.0599 0.0667  4 O 1.94-2.03
Zn 0.3773 0.6781 0.9640  4 O 1.93-2.11
Zn 0.9401 0.6514 0.4333  4 O 1.94-2.03
Zn 0.3219 0.6227 0.5360  4 O 1.93-2.11
Zn 0.6781 0.3773 0.4640  4 O 1.93-2.11
Zn 0.0599 0.3486 0.5667  4 O 1.94-2.03
Zn 0.6514 0.9401 0.9333  4 O 1.94-2.03
Zn 0.6227 0.3219 0.0360  4 O 1.93-2.11
Cr 0.3157 0.9922 0.7283  6 O 1.98-2.11
Cr 0.9922 0.3157 0.2283  6 O 1.98-2.11
Cr 0.1468 0.5233 0.0419  6 O 2.01-2.10
Cr 0.5233 0.1468 0.5419  6 O 2.01-2.10
Cr 0.4767 0.8532 0.4581  6 O 2.01-2.10
Cr 0.8287 0.1713 0.7500  6 O 2.02-2.06
Cr 0.1713 0.8287 0.2500  6 O 2.02-2.06
Cr 0.8532 0.4767 0.9581  6 O 2.01-2.10
Cr 0.6843 0.0078 0.2717  6 O 1.98-2.11
Cr 0.0078 0.6843 0.7717  6 O 1.98-2.11
Te 0.6651 0.6460 0.7079  4 O 2.00-2.22
Te 0.0000 0.0000 0.0000  6 O 2.11-2.12
Te 0.0000 0.0000 0.5000  6 O 2.11-2.12
Te 0.6460 0.6651 0.2079  4 O 2.00-2.22
Te 0.3349 0.3540 0.2921  4 O 2.00-2.22
Te 0.3540 0.3349 0.7921  4 O 2.00-2.22
O 0.9443 0.5911 0.6226  2 Zn 2.01-2.03, 1 Cr 2.05
O 0.2506 0.9189 0.5639  2 Cr 2.05-2.10, 1 Te 2.12
O 0.4121 0.7584 0.3127  2 Cr 2.03-2.06, 1 Te 2.08
O 0.9313 0.9199 0.1799  2 Cr 2.06-2.11, 1 Te 2.11
O 0.0811 0.7494 0.9361  2 Cr 2.05-2.10, 1 Te 2.12
O 0.0801 0.0687 0.3201  2 Cr 2.06-2.11, 1 Te 2.11
O 0.6125 0.5572 0.0420  2 Zn 2.02-2.05, 1 Cr 2.04, 1 Te 2.16
O 0.8927 0.2460 0.5762  2 Zn 2.02-2.11, 1 Cr 2.02, 1 Te 2.12
O 0.1073 0.7540 0.4238  2 Zn 2.02-2.11, 1 Cr 2.02, 1 Te 2.12
O 0.2218 0.2830 0.1393  1 Zn 1.94, 2 Cr 2.05-2.10
O 0.4315 0.7508 0.7960  1 Zn 1.93, 1 Cr 1.98, 1 Te 2.00
O 0.7782 0.7170 0.8607  1 Zn 1.94, 2 Cr 2.05-2.10
O 0.7494 0.0811 0.4361  2 Cr 2.05-2.10, 1 Te 2.12
O 0.5401 0.9209 0.6173  3 Cr 2.01-2.06
O 0.2492 0.5685 0.7040  1 Zn 1.93, 1 Cr 1.98, 1 Te 2.00
O 0.3875 0.4428 0.9580  2 Zn 2.02-2.05, 1 Cr 2.04, 1 Te 2.16
O 0.5685 0.2492 0.2040  1 Zn 1.93, 1 Cr 1.98, 1 Te 2.00
O 0.0791 0.4599 0.8827  3 Cr 2.01-2.06
O 0.2416 0.5879 0.1873  2 Cr 2.03-2.06, 1 Te 2.08
O 0.7508 0.4315 0.2960  1 Zn 1.93, 1 Cr 1.98, 1 Te 2.00
O 0.5911 0.9443 0.1226  2 Zn 2.01-2.03, 1 Cr 2.05
O 0.4599 0.0791 0.3827  3 Cr 2.01-2.06
O 0.7540 0.1073 0.9238  2 Zn 2.02-2.11, 1 Cr 2.02, 1 Te 2.12
O 0.5572 0.6125 0.5420  2 Zn 2.02-2.05, 1 Cr 2.04, 1 Te 2.16
O 0.5879 0.2416 0.6873  2 Cr 2.03-2.06, 1 Te 2.08
O 0.9199 0.9313 0.6799  2 Cr 2.06-2.11, 1 Te 2.11
O 0.2830 0.2218 0.6393  1 Zn 1.94, 2 Cr 2.05-2.10
O 0.4428 0.3875 0.4580  2 Zn 2.02-2.05, 1 Cr 2.04, 1 Te 2.16
O 0.9189 0.2506 0.0639  2 Cr 2.05-2.10, 1 Te 2.12
O 0.9209 0.5401 0.1173  3 Cr 2.01-2.06
O 0.0557 0.4089 0.3774  2 Zn 2.01-2.03, 1 Cr 2.05
O 0.0687 0.0801 0.8201  2 Cr 2.06-2.11, 1 Te 2.11
O 0.2460 0.8927 0.0762  2 Zn 2.02-2.11, 1 Cr 2.02, 1 Te 2.12
O 0.7170 0.7782 0.3607  1 Zn 1.94, 2 Cr 2.05-2.10
........

Everything I’ve read so far on it makes me think that the new web authentication service from Microsoft might gain some traction; however I think there is a sore point that makes the service less desirable. From a user experience point of view, users expect that when they login to a web site that they are not redirected away from it. The Windows Live ID web authentication service requires that you place an iframe on your site which the actual authentication takes place in; less than perfect. I personally think that it would have been a much nicer product release if they allowed users to authenticate against it using pure web service or remote calls; no iframe and dodgy browser redirection. Unfortunately, I however sympathise with the pressures that Microsoft are under to guarantee that their users privacy is protected and allowing pure web service authentication does compromise that point some what.

If you’re interested:

John Butler Trio, Grand National

John Butler Trio: Live At The Brisbane River Stage, 12 August 2007The John Butler Trio are currently on the Australian leg of their Grand National tour and we were lucky enough to see them.

The concert was held at the Brisbane River Stage last night and the event was sold out; which officially made it the single biggest crowd in the bands history that they’ve performed in front of world wide; go Brisbane.

The evening was fantastic, with the John Butler Trio playing all of the new songs from their Grand National release with every second song being an older one. The Trio played from about 7:30pm until approximately 10:15pm with no breaks other than for us to applaud for an encore!

Such a great band, you need to do yourselves a favour and go and see them next time they are in your neck of the woods.

Tech Ed 2007, Day 3 Wrap Up

Yesterday I looked into the building of Background Motion using the Composite Web Block, the Enterprise Library and putting all of the different .NET 3.x technologies together in a demonstration product named Dinner Now. Today was focused around SQL Server 2005 performance, optimisation and scalability followed by .NET language pragmatics.

Writing Applications That Make SQL Server 2005 Fly

Shu Scott presented about writing applications that make SQL Server 2005 fly, however I don’t think that name reflected the presentation all that well. The talk would have been better titled ‘Understanding The Cost Based Optimiser To Make SQL Server 2005 Fly’. None the less, Shu raised a lot of great points in her presentation and some of them I thought interesting are below:

  • Don’t use a function passing in a column as a parameter within a query, such as in a WHERE clause. SQL Server 2005 calculates statistics for a table per column, so as soon as you use a function on the column the statistics are unusable. The off shoot of this is that SQL Server 2005 can massively under or over estimate the selectivity of a table which on a complex-ish based query can dramatically change the query plan that SQL Server will choose.
  • Don’t alter an input parameter to a function or stored procedure after the procedure has started. Shu didn’t specify exactly why this is the case, however after investigating it further on the internet; it is related to the point below regarding parameter sniffing.
  • Avoid using local variables within a function or procedure in WHERE statements. During the presentation, I didn’t get a clear understanding of why this was sub-optimal, however after some research online it is caused by the cost based optimiser having to use a reduced quality estimate for the selectivity of the table. You can avoid this problem by supplying the OPTION(RECOMPILE> hint, use a literal instead of a local variable if possible, parameterise the query an accept the value via an input parameter.
  • Use automatic statistics, if you have a requirement to not use it – disable it on a per table basis if possible as having quality statistics for your database is vital in the cost based optimiser doing its job.
  • Do parameterise your queries where they are common, with a lot of reuse and are hit often. Do not parameterise queries that are ad-hoc or long running. Presumably there is no gain in parameterising a long running query as the server is already going to be spending significant time processing the query, in which case the few milliseconds the server spends generating a query plan won’t be noticed.
  • Be aware of parameter sniffing, which is where SQL Server uses the values of the input values to a function/procedure to produce the query plan. This is normally a very good thing, however if the cached plan happens to represent an atypical set of input values – then it is likely that the performance of a typical query is going to be severely impacted.
  • Look to utilise the INCLUDE keyword when creating non-clustered indexes. The INCLUDE keyword allows you to extend past the 900 byte limit on the index key and also allows you to include previously disallowed column types within the index (ex: nvarchar(max)). This type of index is excellent for index coverage, as all columns identified are stored within the index in leaf nodes, however only the key columns enforce the index type.
  • If you are unable to edit an SQL statement for some reason, consider using the plan guides. A plan guide is essentially a set of option hints for the query, however you aren’t editing the query itself to apply them. You configure the plan guides for a stored procedure, function or an individual statement and when it is matched SQL Server 2005 will automatically apply the suggested guides to the statement.
  • In a similar fashion to the plan guide, there is a more complex option called USE PLAN which lets you supply an actual execution plan to the SQL statement, again without editing the SQL statement directly. Essentially, you extract the XML representation for the execution plan you would prefer to have execute and supply that to the SQL statement. If you have skewed data sets, this would be a good option to guarantee consistent access speed for a particular query. Using the skewed data sets as an example, it would be possible to have SQL Server cache a query plan which represents the atypical data and as such performs very poorly for the majority of the typical data. Supply the query plan to the SQL statement can avoid that happening. It is worth noting though, if you do supply a query plan you would need to revisit the stored plan periodically to make sure that it still reflects the most efficient access path for your particular data set.

Implementing Scale Out Solutions With SQL Server 2005

This presentation was about scaling SQL Server 2005 out, such that you’re able to continue adding more and more servers to the mix to distribute the load across. I had previously read the majority of the information covered, however I learned about two features named the SQL Server Service Broker and Query Notifications.

[Someone pasted calculated crystals at this point]
........
# 1
This record from Materials Project describes a relaxed LiMn2F5 crystal. The functional is GGA+U.

```
LiMn2F5
1.0
8.694 0.000 0.000
0.000 8.873 0.000
0.000 0.000 6.514
Li Mn F
4 8 20
direct
0.244 0.239 0.000
0.256 0.739 0.500
0.744 0.261 0.500
0.756 0.761 0.000
0.000 0.000 0.252
0.000 0.000 0.748
0.141 0.628 0.000
0.359 0.128 0.500
0.500 0.500 0.248
0.500 0.500 0.752
0.641 0.872 0.500
0.859 0.372 0.000
0.076 0.861 0.500
0.086 0.864 0.000
0.099 0.393 0.000
0.215 0.124 0.246
0.215 0.124 0.754
0.285 0.624 0.254
0.285 0.624 0.746
0.401 0.893 0.500
0.414 0.364 0.500
0.424 0.361 0.000
0.576 0.639 0.000
0.586 0.636 0.500
0.599 0.107 0.500
0.715 0.376 0.254
0.715 0.376 0.746
0.785 0.876 0.246
0.785 0.876 0.754
0.901 0.607 0.000
0.914 0.136 0.000
0.924 0.139 0.500
```

* energy relative to the lowest polymorph listed for this composition: 0.0076 eV per atom
* total DFT energy (no corrections): -5.9969 eV per atom


# 2
This record from Materials Project describes a relaxed LiMnF3 crystal. The functional is GGA+U.

```
LiMnF3
1.0
7.731 0.000 0.000
3.348 7.896 0.000
3.330 -0.327 7.970
Li Mn F
8 8 24
direct
0.022 0.061 0.143
0.182 0.540 0.945
0.211 0.010 0.492
0.363 0.107 0.120
0.637 0.893 0.880
0.789 0.990 0.508
0.818 0.460 0.055
0.978 0.939 0.857
0.063 0.634 0.569
0.232 0.193 0.777
0.384 0.732 0.182
0.498 0.304 0.357
0.502 0.696 0.643
0.616 0.268 0.818
0.768 0.807 0.223
0.937 0.366 0.431
0.037 0.778 0.026
0.084 0.821 0.355
0.103 0.147 0.288
0.129 0.469 0.764
0.188 0.459 0.367
0.249 0.932 0.718
0.304 0.298 0.979
0.311 0.183 0.512
0.338 0.933 0.010
0.352 0.655 0.506
0.450 0.905 0.289
0.454 0.536 0.843
0.546 0.464 0.157
0.550 0.095 0.711
0.648 0.345 0.494
0.662 0.067 0.990
0.689 0.817 0.488
0.696 0.702 0.021
0.751 0.068 0.282
0.812 0.541 0.633
0.871 0.531 0.236
0.897 0.853 0.712
0.916 0.179 0.645
0.963 0.222 0.974
```

* energy relative to the lowest polymorph listed for this composition: 0.0779 eV per atom
* total DFT energy (no corrections): -5.6985 eV per atom


# 3
This record from Materials Project describes a relaxed LiMn2F7 crystal. The functional is GGA+U.

```
LiMn2F7
1.0
8.104 0.000 0.000
0.000 8.100 0.000
-6.695 0.000 8.181
Li Mn F
4 8 28
direct
0.220 0.092 0.348
0.220 0.408 0.848
0.780 0.592 0.152
0.780 0.908 0.652
0.258 0.718 0.293
0.258 0.782 0.793
0.280 0.118 0.081
0.280 0.382 0.581
0.720 0.618 0.419
0.720 0.882 0.919
0.742 0.218 0.207
0.742 0.282 0.707
0.039 0.192 0.387
0.039 0.308 0.887
0.197 0.562 0.644
0.197 0.634 0.889
0.197 0.866 0.389
0.197 0.938 0.144
0.250 0.515 0.423
0.250 0.985 0.923
0.280 0.235 0.229
0.280 0.265 0.729
0.374 0.577 0.229
0.374 0.923 0.729
0.442 0.213 0.554
0.442 0.287 0.054
0.558 0.713 0.946
0.558 0.787 0.446
0.626 0.077 0.271
0.626 0.423 0.771
0.720 0.735 0.271
0.720 0.765 0.771
0.750 0.015 0.077
0.750 0.485 0.577
0.803 0.062 0.856
0.803 0.134 0.611
0.803 0.366 0.111
0.803 0.438 0.356
0.961 0.692 0.113
0.961 0.808 0.613
```
........
[So much for the calculated crystals]

  • Linked servers let you move whole sections of a database onto another server and you tell the primary server where the other data resides. Linked servers are transactionally safe, however will perform only as fast as the slowest component within the linked server group.
  • Distributed Partitioned Views allows you to move subsets of a tables data across servers and uses linked servers behind the scenes to communicate between servers. A partition might be as simple as customers 1 through 100,000 in partition A and 100,001 through 200,000 in partition B and so on.
  • SQL Server Shared Database (SSD) allows you to attach many servers to a single read only copy of the database, which might be a great way of increasing performance for a heavily utilised reporting server with relatively static data. Unfortunately, the servers reading from the database need to be detached to refresh the database but this could be managed in an off peak period to reduce impact.
  • Snapshop Replication snapshots an entire database and replicates it into the subscribers. Snapshot replication isn’t used a lot as it’s data and resource intensive. It is most commonly used to set up a base system and then enable merge replication to bring it up to date with the publisher or to refresh an infrequently changing database periodically.
  • Merge Replication tracks the changes to the data on the publishers and bundles them together, only sending the net changes when appropriate. Merge replication supports bi-directional replication and it also implements conflict resolution as well, however there is no guarantee of consistency as the changes aren’t necessarily being replicated in a near real time environment.
  • Transaction Replication sends all changes to all subscribers and is transactionally safe. If there were a lot of DML taking place in a database, there would be considerable overhead for using transactional replication as a simple UPDATE statement which might effect 100 rows locally is sent to the subscribers as 100 independent SQL statements; in case some or all of the subscribes have additional data that the publisher does not.
  • Peer To Peer (P2P) Replication is a variation of transactional replication however it requires that each peer be the master of it’s own data so as to avoid key read/write problems across servers and consistency issues. As an example, all of the Brisbane office writes its changes into server A, while Sydney writes its changes into server B. By making sure that each server ‘owns’ its respective block of data, it is then possible and safe to replicate data between all peers safely.
  • SQL Server Service Broker (SSB) provides a reliable asynchronous messaging system to SQL Server 2005, that allows you to pass messages between application either within the same database, same server or distributed over many servers and databases. The service broker doesn’t do the work for you, however it does provide the plumbing to make developing your system a whole lot simpler. Using the service broker, it would even be possible to send messages from one service into another service on a different machine; might be useful to help keep different pieces of information up to date in a vastly distributed database set up when replication doesn’t quite suit the purpose.
  • Query Notification, as it suggests is a notification system which is used to notify clients or caches that they need to update certain data. Once again, the query notification doesn’t do the updating – it merely provides the event to tell you do perform your own action. The Query Notification engine utilises the service broker under the hood.
  • Data Dependent Routing isn’t a SQL Server feature but more of an architectural design pattern. Using Data Dependent Routing, the client (whatever it is), knows a little bit about the storage system and optimistically seeks out the data store which is likely to return the best performance.

.NET Programming Language Pragmatics

Joel Pobar presentated on .NET programming language pragmatics and contrasted some of the recent developments in that space. At the start of the talk, he pointed out that there are generally three types of programming languages – static, dynamic and functional. The original version of the .NET Common Language Runtime was based around a static environment and has recently been enhanced to support functional programming and more recently dynamic.

The dynamic programming languages are handled through a new component, the Dynamic Language Runtime which sits on top of the existing CLR. The new Dynamic Language Runtime has allowed people to build IronPython and IronRuby, which are implementations of those particular languages sitting over the top of the .NET CLR.

Outside of the fact that it means you’ll be able to run a Python script in the native Python runtime or inside of the .NET DLR, which is just plain cool; the biggest picture here is that the .NET CLR is being enhanced and soon we’ll have a new super language (LISP advocates, back in your boxes!) which will support all of the current types of programming languages at once.

The presentation was fantastic and it is exciting to hear Joel present as he is so passionate about the field. In fact, I would go as far to say that his enthusiasm for his work is infectious; it is hard to walk away from one of his presentations and not have at least some of his excitement and enthusiasm rubbed off on you.

I’ve heard on the grape vine that Joel might be able to present at the one of the next Gold Coast .NET User Groups, can’t wait if he does!